Are you serious about the success of your business…
OR… are you just dabbling a little?
┌──
Entry 1:
Structure and theoretical PXRD pattern of Li4Ti3V3O12 (a cell relaxed with PBE+U; Cu Kα (λ = 1.5418 Å)).
Neutral-atom scattering factors, no anomalous dispersion.

Atomic structure:
```
Li4Ti3V3O12
1.0
5.190 0.000 0.000
1.771 5.785 0.000
1.766 1.216 7.618
Li Ti V O
4 3 3 12
direct
0.002 0.166 0.335
0.497 0.334 0.167
0.503 0.666 0.833
0.998 0.834 0.665
0.000 0.000 0.000
0.007 0.332 0.668
0.993 0.668 0.332
0.497 0.169 0.832
0.500 0.500 0.500
0.503 0.831 0.168
0.225 0.359 0.421
0.228 0.015 0.764
0.237 0.687 0.094
0.240 0.810 0.405
0.255 0.139 0.076
0.256 0.482 0.736
0.744 0.518 0.264
0.745 0.861 0.924
0.760 0.190 0.595
0.763 0.313 0.906
0.772 0.985 0.236
0.775 0.641 0.579
```

Largest 12 diffraction maxima, by angle, 2θ = 10–90°:
- 17.9 deg, d 4.961, intensity 100
- 35.1 deg, d 2.560, intensity 11
- 35.4 deg, d 2.533, intensity 22
- 42.3 deg, d 2.136, intensity 24
- 42.8 deg, d 2.112, intensity 47
- 46.6 deg, d 1.948, intensity 6
- 55.7 deg, d 1.652, intensity 6
- 56.2 deg, d 1.637, intensity 5
- 61.3 deg, d 1.512, intensity 6
- 61.5 deg, d 1.507, intensity 12
- 62.1 deg, d 1.494, intensity 13
- 62.8 deg, d 1.480, intensity 6

---

Entry 2:
Structure and theoretical PXRD pattern of Li2TiV3O8 (a cell relaxed with PBE+U; Cu Kα (λ = 1.5418 Å)).
Neutral-atom scattering factors, no anomalous dispersion.

Atomic structure:
```
Li2TiV3O8
1.0
8.355 0.000 0.000
0.000 8.505 0.000
0.000 0.000 8.521
Li Ti V O
8 4 12 32
direct
0.004 0.003 0.002
0.249 0.250 0.251
0.251 0.750 0.751
0.496 0.997 0.502
0.504 0.497 0.998
0.749 0.250 0.749
0.751 0.750 0.249
0.996 0.503 0.498
0.120 0.874 0.378
0.380 0.126 0.878
0.620 0.626 0.622
0.880 0.374 0.122
0.126 0.126 0.624
0.128 0.378 0.876
0.132 0.627 0.126
0.368 0.373 0.626
0.372 0.622 0.376
0.374 0.874 0.124
0.626 0.374 0.376
0.628 0.122 0.124
0.632 0.873 0.874
0.868 0.127 0.374
0.872 0.878 0.624
0.874 0.626 0.876
0.107 0.111 0.384
0.113 0.390 0.119
0.113 0.883 0.607
0.117 0.614 0.892
0.129 0.642 0.362
0.132 0.861 0.139
0.143 0.138 0.861
0.145 0.372 0.631
0.355 0.628 0.131
0.357 0.862 0.361
0.368 0.139 0.639
0.371 0.358 0.862
0.383 0.386 0.392
0.387 0.117 0.107
0.387 0.610 0.619
0.393 0.889 0.884
0.607 0.389 0.616
0.613 0.110 0.881
0.613 0.617 0.393
0.617 0.886 0.108
0.629 0.858 0.638
0.632 0.639 0.861
0.643 0.362 0.139
0.645 0.128 0.369
0.855 0.872 0.869
0.857 0.638 0.639
0.868 0.361 0.361
0.871 0.142 0.138
0.883 0.114 0.608
0.887 0.383 0.893
0.887 0.890 0.381
0.893 0.611 0.116
```

Largest 12 diffraction maxima, by angle, 2θ = 10–90°:
- 18.2 deg, d 4.884, intensity 100
- 35.0 deg, d 2.562, intensity 31
- 35.5 deg, d 2.528, intensity 15
- 36.8 deg, d 2.442, intensity 7
- 42.5 deg, d 2.128, intensity 41
- 43.3 deg, d 2.089, intensity 19
- 56.1 deg, d 1.638, intensity 6
- 56.2 deg, d 1.636, intensity 6
- 57.2 deg, d 1.610, intensity 6
- 61.6 deg, d 1.505, intensity 12
- 62.3 deg, d 1.491, intensity 23
- 78.3 deg, d 1.221, intensity 9

---

Entry 3:
└──
If you are just dabbling, then you can skip this article because it probably doesn’t apply to you.
These materials data were left in the page by mistake
Record 1
Computed X-ray diffraction stick pattern
Compound: Er2Tm4Th
Radiation: Cu Kα
Structure: DFT lattice parameters and positions (GGA-PBE)

Crystal structure
Cell: 8.596 8.596 8.560 Å, 116.77 116.77 22.83°
Positions (direct):
Er 0.223 0.223 0.150
Er 0.777 0.777 0.850
Tm 0.080 0.080 0.700
Tm 0.368 0.368 0.600
Tm 0.632 0.632 0.400
Tm 0.920 0.920 0.300
Th 0.000 0.000 0.000

Most intense lines, 5° ≤ 2θ ≤ 70°, in order of falling intensity:
2θ 31.11, I 1000
2θ 31.65, I 949
2θ 30.93, I 894
2θ 32.65, I 879
2θ 37.76, I 473
2θ 34.01, I 330
2θ 36.85, I 304
2θ 64.45, I 266
2θ 63.55, I 264
2θ 63.86, I 258
2θ 26.87, I 252
2θ 53.89, I 234



Record 2
Computed X-ray diffraction stick pattern
Compound: Er3Tm6Th2
Radiation: Cu Kα
Structure: DFT lattice parameters and positions (GGA-PBE)

Crystal structure
Cell: 6.040 6.040 11.442 Å, 95.09 95.09 120.04°
Positions (direct):
Er 0.000 0.000 0.000
Er 0.335 0.665 0.000
Er 0.665 0.335 0.000
Tm 0.084 0.417 0.252
Tm 0.249 0.249 0.748
Tm 0.417 0.084 0.252
Tm 0.583 0.916 0.748
Tm 0.751 0.751 0.252
Tm 0.916 0.583 0.748
Th 0.166 0.834 0.500
Th 0.834 0.166 0.500

Most intense lines, 5° ≤ 2θ ≤ 70°, in order of falling intensity:
2θ 31.47, I 1000
2θ 36.59, I 664
2θ 31.79, I 321
2θ 52.49, I 239
2θ 52.92, I 233
2θ 62.65, I 189
2θ 62.49, I 143
2θ 63.07, I 139
2θ 65.68, I 122
2θ 62.74, I 93
2θ 66.42, I 39
2θ 17.16, I 37

----------

[1]
# NbTcW
Theoretical powder XRD pattern, CuKα. Input: a structure optimized by DFT (GGA-PBE).
Neutral-atom scattering factors, no anomalous dispersion.

Structure:
Cell lengths 3.186, 4.499, 13.586 Å; angles 90.00, 90.00, 90.00 degrees
Space group Amm2 (No. 38)
Unique sites:
Nb 0.000 0.000 0.000 [2 per cell]
Nb 0.500 0.000 0.171 [2 per cell]
Tc 0.500 0.000 0.500 [2 per cell]
Tc 0.500 0.000 0.836 [2 per cell]
W 0.000 0.000 0.337 [2 per cell]
W 0.000 0.000 0.669 [2 per cell]

Main lines, low angle first (10 to 90 degrees two-theta):
2θ/deg, d (Å), I_rel
13.03, 6.793, 4
27.97, 3.190, 7
39.81, 2.264, 20
40.01, 2.254, 100
57.77, 1.596, 14
57.89, 1.593, 7
72.39, 1.305, 14
72.56, 1.303, 7
72.76, 1.300, 20
86.29, 1.127, 9

---

[2]
# Ba2Sc2Ge2O
Theoretical powder XRD pattern, CuKα. Input: a structure optimized by DFT (GGA-PBE).
Neutral-atom scattering factors, no anomalous dispersion.

Structure:
Cell lengths 4.473, 4.473, 17.798 Å; angles 90.00, 90.00, 90.00 degrees
Space group I4/mmm (No. 139)
Unique sites:
Ba 0.000 0.000 0.167 [4 per cell]
Sc 0.000 0.500 0.000 [4 per cell]
Ge 0.000 0.000 0.393 [4 per cell]
O 0.000 0.000 0.000 [2 per cell]

Main lines, low angle first (10 to 90 degrees two-theta):
2θ/deg, d (Å), I_rel
24.93, 3.572, 68
28.21, 3.163, 90
29.98, 2.980, 40
32.14, 2.785, 100
34.80, 2.578, 100
40.32, 2.237, 79
50.46, 1.809, 47
52.47, 1.744, 48
58.35, 1.582, 26
66.48, 1.406, 42

---

[3]
# Li2TcMoN4
Theoretical powder XRD pattern, CuKα. Input: a structure optimized by DFT (GGA-PBE).
Neutral-atom scattering factors, no anomalous dispersion.

Structure:
The page goes on
But – if you ARE serious about the success of your business, and you have a website, you should read this article and do what it says if you don’t have an SSL certificate installed on your website. That’s where your browser like Edge, Google Chrome, or Mozilla Firefox tells the user that it is SECURE. If you do not have a premium and properly installed SSL certificate installed on your website, it will be NOT SECURE.
Why is it so important to do this now, and why should you do it if you are serious about the success of your business?
Without a properly installed, premium SSL Certificate:
1) The data passing through your website from one of your visitors, even if it is only a contact form, is not encrypted – in other words, the data is in the open. Any bad guy that intercepts the communication can see exactly what it says. This is a SECURITY issue – regardless of whether your visitors are transmitting legal data or just their phone number. Would you want YOUR information out in the open like that?
2) Everyone’s new version of Google Chrome, and potentially other browsers, warn the user that your website it NOT SECURE. This means that just going to your website can scare your potential customers away, before they even have a chance to see what you offer.
3) Some devices such as Apple iPhones and iPads will not even allow a user to go to sites that are NOT SECURE. This means people using these devices in some cases will not be able to go to your website AT ALL.
4) Google and potentially other search engines are now penalizing websites that do not have an SSL Certificate installed. This means that if you were on page 1 of Google’s search results for a particular search term, you now could end up being on page 2, or 3, or 4, or worse.
These facts are not meant to scare you. They are facts. You decide what to do. But if you ARE really serious about the success of your business, NOW is the time get that SSL certificate installed on your website. It costs a few dollars (I would recommend you stay away from the free ones) to get a premium certificate that will keep your visitors safe and secure and prevent your website from being penalized.
Do this today – right now – while you are thinking about it. Your online business security and your new business leads from your website depend on it.